
Search Result

Total Records Found: 3090, showing 100 per page
TitleFull NameHouse NameCityState/Country
Angel Adam Kentucky Fried Sisters: Convent of the Throughly Bred and Breaded Lexington Kentucky
Angel Jesse Kentucky Fried Sisters: Convent of the Throughly Bred and Breaded Lexington Kentucky
Sister Devilyn Disguise Kentucky Fried Sisters: Convent of the Throughly Bred and Breaded Lexington Kentucky
Sister Freida Fondleus Kentucky Fried Sisters: Convent of the Throughly Bred and Breaded Lexington Kentucky
Sister Ginger Balls Kentucky Fried Sisters: Convent of the Throughly Bred and Breaded Lexington Kentucky
Sister HeavenZonFiya Kentucky Fried Sisters: Convent of the Throughly Bred and Breaded Lexington Kentucky
Sister Ken Tagious Kentucky Fried Sisters: Convent of the Throughly Bred and Breaded Lexington Kentucky
Sister Mimi Pickme Kentucky Fried Sisters: Convent of the Throughly Bred and Breaded Lexington Kentucky
Sister Val Garity Kentucky Fried Sisters: Convent of the Throughly Bred and Breaded Lexington Kentucky
Hugh Bris Kentucky Fried Sisters: Convent of the Throughly Bred and Breaded Lexington Kentucky
Peeping Thom Kentucky Fried Sisters: Convent of the Throughly Bred and Breaded Lexington Kentucky
Guard Bashfully Brazen Derby City Sisters, Abbey of Infinite Possbilities Louisville Kentucky
Guard Bearin Loads Derby City Sisters, Abbey of Infinite Possbilities Louisville Kentucky
Guard Bushy Bottoms Derby City Sisters, Abbey of Infinite Possbilities Louisville Kentucky
Guard Cubcake Derby City Sisters, Abbey of Infinite Possbilities Louisville Kentucky
Guard DILF/Sister NILF Derby City Sisters, Abbey of Infinite Possbilities Louisville Kentucky
Guard Ian of the Faithful Derby City Sisters, Abbey of Infinite Possbilities Louisville Kentucky
Guard Little Aggressive Derby City Sisters, Abbey of Infinite Possbilities Louisville Kentucky
Guard Pan Duh Express Derby City Sisters, Abbey of Infinite Possbilities Louisville Kentucky
Guard Twitch Beirin Derby City Sisters, Abbey of Infinite Possbilities Louisville Kentucky
Guard Wolfie, Protector of the Pack Derby City Sisters, Abbey of Infinite Possbilities Louisville Kentucky
Sister Alma BadHabits Derby City Sisters, Abbey of Infinite Possbilities Louisville Kentucky
Sister Betty Bottoms Derby City Sisters, Abbey of Infinite Possbilities Louisville Kentucky
~~~
No. 1
{"formula": "C19H26N2O2", "method": "wB97M-V/def2-TZVPD", "species": ["C", "C", "C", "C", "C", "C", "C", "H", "H", "C", "O", "N", "C", "H", "C", "H", "H", "C", "C", "O", "N", "H", "C", "C", "H", "H", "C", "H", "H", "C", "H", "H", "C", "H", "H", "H", "C", "C", "H", "H", "H", "H", "H", "H", "H", "H", "H", "H", "H"], "coordinates": [[6.175, 2.939, -0.208], [5.217, 1.797, -0.054], [4.077, 1.933, 0.730], [3.194, 0.883, 0.888], [3.437, -0.336, 0.264], [4.588, -0.486, -0.500], [5.460, 0.573, -0.664], [6.347, 0.446, -1.270], [4.791, -1.440, -0.964], [2.545, -1.515, 0.476], [2.966, -2.555, 0.957], [1.247, -1.370, 0.125], [0.693, -0.237, -0.587], [1.497, 0.284, -1.111], [-0.358, -0.714, -1.585], [-0.715, 0.148, -2.151], [0.100, -1.419, -2.280], [-1.543, -1.371, -0.865], [-2.635, -0.337, -0.570], [-2.436, 0.858, -0.604], [-3.820, -0.901, -0.249], [-3.876, -1.906, -0.236], [-5.015, -0.168, 0.140], [-5.467, 0.858, -0.925], [-4.842, 0.795, -1.813], [-6.498, 0.655, -1.216], [-5.359, 2.226, -0.250], [-6.057, 2.950, -0.666], [-4.343, 2.603, -0.364], [-5.623, 1.918, 1.220], [-6.686, 1.727, 1.381], [-5.310, 2.723, 1.882], [-4.817, 0.642, 1.437], [-3.762, 0.895, 1.533], [-5.126, 0.084, 2.320], [-5.794, -0.922, 0.283], [-1.084, -1.986, 0.471], [0.348, -2.486, 0.360], [0.431, -3.219, -0.454], [0.670, -2.979, 1.281], [-1.135, -1.234, 1.260], [-1.735, -2.813, 0.757], [-1.964, -2.153, -1.506], [0.223, 0.470, 0.106], [2.319, 1.004, 1.509], [3.881, 2.875, 1.222], [6.863, 2.963, 0.638], [5.645, 3.888, -0.236], [6.763, 2.834, -1.118]], "nbo_charge": [-0.628, -0.006, -0.235, -0.128, -0.156, -0.162, -0.217, 0.210, 0.222, 0.664, -0.625, -0.434, -0.218, 0.227, -0.414, 0.243, 0.208, -0.304, 0.693, -0.645, -0.615, 0.395, -0.044, -0.413, 0.223, 0.202, -0.406, 0.206, 0.222, -0.398, 0.190, 0.213, -0.415, 0.220, 0.207, 0.202, -0.406, -0.217, 0.187, 0.238, 0.212, 0.216, 0.214, 0.198, 0.206, 0.209, 0.222, 0.217, 0.216], "smiles": "Cc1ccc(C(=O)N2CCC(C(=O)NC3CCCC3)CC2)cc1", "energy_ha": -999.6445, "multiplicity": 1, "homo_ev": -8.91, "orbital_gap_ev": 9.54}


No. 2
~~~
Sister Catty Cumback of the House of Snark Derby City Sisters, Abbey of Infinite Possbilities Louisville Kentucky
Sister Cordelia Cornflake Derby City Sisters, Abbey of Infinite Possbilities Louisville Kentucky
Sister Crema Tory of the Holy Pyre Derby City Sisters, Abbey of Infinite Possbilities Louisville Kentucky
Sister Devilyn Syde Derby City Sisters, Abbey of Infinite Possbilities Louisville Kentucky
Sister Ginger Holywood Derby City Sisters, Abbey of Infinite Possbilities Louisville Kentucky
Sister Glymmer Anna Hope Derby City Sisters, Abbey of Infinite Possbilities Louisville Kentucky
Sister Hairy-Et Oso-Furry Derby City Sisters, Abbey of Infinite Possbilities Louisville Kentucky
Sister Ida Claire Derby City Sisters, Abbey of Infinite Possbilities Louisville Kentucky
Sister Ivanna Cox Derby City Sisters, Abbey of Infinite Possbilities Louisville Kentucky
Sister Jane Underland Derby City Sisters, Abbey of Infinite Possbilities Louisville Kentucky
Sister Kenya Nott Derby City Sisters, Abbey of Infinite Possbilities Louisville Kentucky
Sister Korriandher Spice Kentucky Fried Sisters: Convent of the Throughly Bred and Breaded Lexington Kentucky
Sister Lavender Skare Derby City Sisters, Abbey of Infinite Possbilities Louisville Kentucky
Sister Lost in Translation (LIT) Derby City Sisters, Abbey of Infinite Possbilities Louisville Kentucky
Sister Mary Go Round Derby City Sisters, Abbey of Infinite Possbilities Louisville Kentucky
Sister Mary Ophelia Cox Derby City Sisters, Abbey of Infinite Possbilities Louisville Kentucky
Sister Maxine Pads Derby City Sisters, Abbey of Infinite Possbilities Louisville Kentucky
Sister Michio Bukkake Derby City Sisters, Abbey of Infinite Possbilities Louisville Kentucky
Sister NILF Derby City Sisters, Abbey of Infinite Possbilities Louisville Kentucky
Sister Pageen Pollytheist Derby City Sisters, Abbey of Infinite Possbilities Louisville Kentucky
Sister PanGalactic GenderBlaster Derby City Sisters, Abbey of Infinite Possbilities Louisville Kentucky
Sister Patience of Forgiveness Derby City Sisters, Abbey of Infinite Possbilities Louisville Kentucky
Sister Penny Flora Thot Derby City Sisters, Abbey of Infinite Possbilities Louisville Kentucky
Sister Petty Davis Derby City Sisters, Abbey of Infinite Possbilities Louisville Kentucky
Sister Phoebe Mont St. Michel Derby City Sisters, Abbey of Infinite Possbilities Louisville Kentucky
Sister Right Sarong Derby City Sisters, Abbey of Infinite Possbilities Louisville Kentucky
Sister Salacia Derby City Sisters, Abbey of Infinite Possbilities Louisville Kentucky
Sister Sara Bellum Derby City Sisters, Abbey of Infinite Possbilities Louisville Kentucky
Sister Sara Problem Derby City Sisters, Abbey of Infinite Possbilities Louisville Kentucky
Sister Sassy Mae Beaheaux Derby City Sisters, Abbey of Infinite Possbilities Louisville Kentucky
Sister Sharia Law Derby City Sisters, Abbey of Infinite Possbilities Louisville Kentucky
Sister Sharon Memes Derby City Sisters, Abbey of Infinite Possbilities Louisville Kentucky
Sister SlutMuffin the Magnificent Derby City Sisters, Abbey of Infinite Possbilities Louisville Kentucky
Sister Sweet Epiphany Derby City Sisters, Abbey of Infinite Possbilities Louisville Kentucky
Sister Tara Kokkov Derby City Sisters, Abbey of Infinite Possbilities Louisville Kentucky
Sister Tonkabelle Derby City Sisters, Abbey of Infinite Possbilities Louisville Kentucky
Sister Tushie Galore Derby City Sisters, Abbey of Infinite Possbilities Louisville Kentucky
Sister Vanna Tea Derby City Sisters, Abbey of Infinite Possbilities Louisville Kentucky
Sister Velveeta Von Teese Derby City Sisters, Abbey of Infinite Possbilities Louisville Kentucky
Sister Wa-Whore, Momma to the Childrenz Derby City Sisters, Abbey of Infinite Possbilities Louisville Kentucky
Sister Wilma Dickfit Derby City Sisters, Abbey of Infinite Possbilities Louisville Kentucky
Sister Sandy Vee Kentucky Fried Sisters: Convent of the Throughly Bred and Breaded Lexington Kentucky
Sister Thots Anne Prayers Kentucky Fried Sisters: Convent of the Throughly Bred and Breaded Lexington Kentucky
Sister Bertha BetterThanYou Kentucky Fried Sisters: Convent of the Throughly Bred and Breaded Lexington Kentucky
Sister Kristian Values Kentucky Fried Sisters: Convent of the Throughly Bred and Breaded Lexington Kentucky
Sister Breast Wishes Derby City Sisters, Abbey of Infinite Possbilities Louisville Kentucky
Sister Begonia Thots By Six Feet Away Derby City Sisters, Abbey of Infinite Possbilities Louisville Kentucky
Sister Catty Cumback, House of Snark Kentucky Fried Sisters: Convent of the Throughly Bred and Breaded Lexington Kentucky
Sister Rose Bee Derby City Sisters, Abbey of Infinite Possbilities Louisville Kentucky
Sister Betty Cheats Kentucky Fried Sisters: Convent of the Throughly Bred and Breaded Lexington Kentucky
Sister Sinn O Man Role Derby City Sisters, Abbey of Infinite Possbilities Louisville Kentucky
Father Ken Ieatcha Big Easy Sisters, Parish of the Muddy Waters New Orleans Louisiana
Guard Alotto Bukkake Big Easy Sisters, Parish of the Muddy Waters New Orleans Louisiana
[Between two parts of the piece: data records]
=====
Formula: C5H14NO2
Source: the OMol25 dataset
Level of theory: ωB97M-V/def2-TZVPD

```
! RIJCOSX wB97M-V def2-TZVPD def2/J DEFGRID3
* xyz -1 1
C 1.01 -0.01 1.94
C 0.74 -1.51 1.83
C -0.15 1.08 1.83
N 0.02 2.01 0.66
C -0.60 1.55 -0.64
C 0.01 0.22 -1.11
O -0.65 -0.90 -0.80
H 1.77 0.24 1.20
H 1.34 0.18 2.96
H -0.35 -1.71 1.83
H 0.97 -2.14 2.71
H 1.23 -1.93 0.99
H -1.11 0.59 1.78
H -0.02 1.79 2.65
H 1.05 1.95 0.55
H -1.66 1.42 -0.53
H -0.42 2.45 -1.28
H 1.10 0.24 -0.89
H -0.01 0.34 -2.31
H -0.96 -1.32 -3.60
H -0.49 -1.77 -2.18
O -0.38 -1.97 -3.17
*
```

## Properties
ΔE to the lowest compared entry with this formula, charge and spin: 1.416 eV
Gap between HOMO and LUMO: 0.2626 Eh

---

Formula: C5H14NO2
Source: the OMol25 dataset
Level of theory: ωB97M-V/def2-TZVPD

```
! RIJCOSX wB97M-V def2-TZVPD def2/J DEFGRID3
* xyz 0 2
C -2.75 -0.58 -0.27
N -1.54 0.10 -0.76
C -1.53 0.12 -2.21
C -0.35 -1.92 0.17
C -0.28 -0.46 -0.24
C 0.25 0.50 0.84
O 1.55 0.81 0.82
H -2.91 -0.33 0.78
H -2.79 -1.61 -0.61
H -3.60 -0.09 -0.75
H -1.37 -0.86 -2.69
H -2.45 0.60 -2.56
H -0.65 0.69 -2.54
H -0.74 -2.51 -0.65
H 0.66 -2.28 0.38
H -0.92 -2.06 1.09
H 0.47 -0.41 -1.03
H -0.41 1.39 0.90
H 0.06 0.04 1.85
H 3.60 0.63 1.14
H 3.55 2.09 1.21
O 4.17 1.37 1.43
*
```

## Properties
ΔE to the lowest compared entry with this formula, charge and spin: 0.753 eV
Expectation value of S²: 0.7547
Gap between HOMO and LUMO (spin up / spin down): 0.3580 / 0.2628 Eh

---

Formula: C5H14NO2
Source: the OMol25 dataset
Level of theory: ωB97M-V/def2-TZVPD

```
! RIJCOSX wB97M-V def2-TZVPD def2/J DEFGRID3
* xyz 1 1
O -1.33 2.47 0.91
C -0.53 1.60 1.12
C -0.49 0.35 0.26
C 0.87 -0.36 0.43
C 1.05 -1.59 -0.47
C 2.10 0.56 0.32
N -0.63 0.84 -1.16
H 0.27 1.61 1.88
H -1.28 -0.43 0.40
H 0.98 -0.69 1.48
H 1.51 -2.46 0.01
H 1.71 -1.36 -1.30
H 0.14 -2.05 -0.89
H 2.68 0.66 1.25
H 1.85 1.58 0.00
H 2.85 0.10 -0.34
H -0.77 0.10 -1.86
H -1.39 1.53 -1.08
H 0.22 1.27 -1.56
H -3.74 -0.69 0.56
H -3.15 -1.96 -0.13
O -2.93 -1.09 0.19
*
```

## Properties
ΔE to the lowest compared entry with this formula, charge and spin: 1.953 eV
Gap between HOMO and LUMO: 0.4041 Eh

---

Formula: C5H14NO2
Source: the OMol25 dataset
Level of theory: ωB97M-V/def2-TZVPD

```
! RIJCOSX wB97M-V def2-TZVPD def2/J DEFGRID3
* xyz 1 1
C 0.50 -1.58 1.23
C -0.89 -1.07 -1.51
C -1.39 1.25 1.11
C 1.11 -0.81 0.03
C 0.10 -0.16 -0.81
N 0.50 1.16 -1.19
O -1.66 2.33 0.28
O 1.98 0.30 0.51
H -0.28 -2.30 0.84
H 0.12 -0.86 1.93
H 1.30 -2.27 1.76
H -0.41 -1.64 -2.28
H -1.36 -1.66 -0.75
H -1.72 -0.51 -1.96
H -2.15 0.50 1.00
H -0.71 1.31 1.94
H 1.71 -1.50 -0.53
H 1.33 1.37 -0.40
H -0.24 1.93 -1.01
H 1.01 1.18 -2.03
H -1.39 3.22 0.71
H 2.56 -0.19 1.14
*
```

## Properties
ΔE to the lowest compared entry with this formula, charge and spin: 5.275 eV
Gap between HOMO and LUMO (spin up / spin down): 0.3010 / 0.3412 Eh

---

Formula: C5H14NO2
Source: the OMol25 dataset
Level of theory: ωB97M-V/def2-TZVPD

```
! RIJCOSX wB97M-V def2-TZVPD def2/J DEFGRID3
* xyz 1 1
=====
Guard Buddha Bear Big Easy Sisters, Parish of the Muddy Waters New Orleans Louisiana
Guard Bunny Bear Big Easy Sisters, Parish of the Muddy Waters New Orleans Louisiana
Guard Chasin Azz Big Easy Sisters, Parish of the Muddy Waters New Orleans Louisiana
Guard Licka Lottapuss Big Easy Sisters, Parish of the Muddy Waters New Orleans Louisiana
Guard Penn Atration Big Easy Sisters, Parish of the Muddy Waters New Orleans Louisiana
Guard Phillip McCann Big Easy Sisters, Parish of the Muddy Waters New Orleans Louisiana
Guard Rusty Hymen Big Easy Sisters, Parish of the Muddy Waters New Orleans Louisiana
Guard Ten Buck U Big Easy Sisters, Parish of the Muddy Waters New Orleans Louisiana
Sister An Jus Big Easy Sisters, Parish of the Muddy Waters New Orleans Louisiana
Sister Anita Whoregasm Big Easy Sisters, Parish of the Muddy Waters New Orleans Louisiana
Sister Cathi Ter Big Easy Sisters, Parish of the Muddy Waters New Orleans Louisiana
Sister Dee Zire Big Easy Sisters, Parish of the Muddy Waters New Orleans Louisiana
Sister Diarhee En Frank Big Easy Sisters, Parish of the Muddy Waters New Orleans Louisiana
Sister Eileen Eulick Big Easy Sisters, Parish of the Muddy Waters New Orleans Louisiana
Sister Glory Bea Big Easy Sisters, Parish of the Muddy Waters New Orleans Louisiana
Sister Imma Gitaround Big Easy Sisters, Parish of the Muddy Waters New Orleans Louisiana
Sister Jaq'elyn Hyde Big Easy Sisters, Parish of the Muddy Waters New Orleans Louisiana
Sister Joy Isma Safewerd Big Easy Sisters, Parish of the Muddy Waters New Orleans Louisiana
== Here the text breaks off for calculated molecules ==
DFT (ωB97M-V/def2-TZVPD) results for an isolated molecule of C6H10O4 in a non-equilibrium geometry.

```
20
Properties=species:S:1:pos:R:3:forces:R:3
O 0.6984 -1.7266 -1.7939 0.40 1.40 0.54
C 0.1054 -0.4897 -1.2323 0.58 -4.16 0.43
C 1.0358 -0.1836 -0.0215 -0.11 -0.36 -1.48
O 1.2345 -1.3993 0.6983 1.75 0.41 -0.92
C 0.4431 0.7547 0.9517 2.52 3.33 1.78
O 0.6249 2.1222 0.4013 -0.08 -0.73 0.28
C -0.9720 0.7263 1.4248 -2.98 -0.08 -0.96
C -1.5431 0.4737 0.0004 -0.65 0.65 0.65
O -2.4627 -0.4429 -0.5852 -0.47 0.11 -0.03
C -1.1067 -0.8449 -0.4133 -0.62 1.13 -1.08
H 0.2147 -1.8425 -2.5923 -0.43 -0.53 -1.11
H -0.0140 0.2160 -2.0407 -0.06 0.56 0.26
H 1.9880 0.2656 -0.4246 -0.58 -0.60 0.62
H 2.0831 -1.6819 0.3070 -0.70 -0.69 0.57
H 1.1059 0.6489 1.8183 0.00 0.26 0.12
H 1.4931 2.1602 -0.0269 -0.28 0.02 0.26
H -1.2860 1.7334 1.8549 0.61 -1.44 -0.27
H -1.2695 -0.1570 2.0581 0.64 1.12 -0.33
H -1.3243 1.2716 -0.7331 -0.12 -0.25 0.80
H -1.0485 -1.6043 0.3491 0.55 -0.13 -0.13
```
Positions in Å, forces in eV/Å.

HOMO energy: -9.53 eV
Net charge: 0
Calculated total energy: -535.44103 a.u.
Relative energy (zero: lowest compared OMol25 entry of this formula, charge and spin): 97.3 kcal per mole


Record 1
9 unconnected molecules or ions with the total composition C30H35F9NO26 in a non-equilibrium geometry. Source: the Open Molecules 2025 dataset; level of theory: wB97M-V/def2-TZVPD.

Last column: Mulliken charge in e.
Geometry (Å):
C 4.14 2.11 0.66  -1.153
C 2.69 2.42 0.98  0.909
O 2.28 3.56 1.06  -0.579
O 1.97 1.31 1.17  -0.269
C 0.56 1.52 1.50  -0.296
C -0.26 1.89 0.28  -0.222
C -1.68 1.31 0.26  0.337
C -2.72 2.36 0.15  0.084
N -2.90 2.97 1.42  -0.690
F -3.80 4.12 1.01  -0.407
H 4.74 2.67 1.37  0.348
H 4.36 1.05 0.71  0.221
H 4.35 2.46 -0.34  0.287
H 0.22 0.59 1.95  -0.118
H 0.50 2.29 2.26  0.315
H 0.30 1.54 -0.58  0.273
H -0.31 2.97 0.21  0.329
H -1.77 0.70 -0.64  -0.244
H -1.85 0.63 1.10  0.063
H -3.66 1.92 -0.26  0.433
H -2.37 3.07 -0.61  -0.588
C 2.70 -2.82 0.57  -0.244
C 2.72 -1.79 -0.53  0.757
O 1.38 -1.79 -0.97  -0.210
C 0.60 -2.17 0.09  0.562
O -0.56 -2.05 0.17  -0.529
O 1.37 -2.70 1.06  -0.345
F 3.55 -2.16 -1.55  -0.209
H 2.86 -3.83 0.19  0.093
H 3.41 -2.62 1.37  0.325
H 2.99 -0.78 -0.20  -0.252
C -1.98 -0.54 -4.58  -0.555
C -1.03 -1.19 -3.60  0.463
O -0.22 -0.10 -3.20  -0.185
C -0.99 1.06 -3.33  0.536
O -0.73 2.11 -2.86  -0.429
O -2.11 0.78 -4.05  -0.235
F -0.25 -2.15 -4.17  -0.331
H -1.56 -0.51 -5.58  0.292
H -2.95 -1.03 -4.60  0.285
H -1.52 -1.61 -2.72  0.149
C -2.28 -2.41 3.19  0.066
C -1.26 -3.00 4.15  0.161
O -0.48 -1.87 4.50  -0.321
C -1.28 -0.76 4.38  0.678
O -1.01 0.30 4.83  -0.511
O -2.40 -1.07 3.68  -0.328
F -0.46 -3.92 3.55  -0.255
H -1.89 -2.39 2.17  -0.042
H -3.24 -2.91 3.21  0.309
H -1.69 -3.43 5.06  0.244
C -2.91 6.14 -1.23  -0.504
C -4.43 6.09 -1.27  0.346
O -4.68 5.39 -2.47  -0.370
C -3.61 4.56 -2.69  0.669
O -3.63 3.62 -3.42  -0.500
O -2.56 4.94 -1.93  -0.305
F -4.99 7.35 -1.35  -0.212
H -2.54 7.00 -1.79  0.313
H -2.50 6.13 -0.23  0.297
Sister Mary Pat McCooter Big Easy Sisters, Parish of the Muddy Waters New Orleans Louisiana
Sister Mila Chokabytch-Proper Big Easy Sisters, Parish of the Muddy Waters New Orleans Louisiana
Sister Moana Moansalot Big Easy Sisters, Parish of the Muddy Waters New Orleans Louisiana
Sister Nunsexmunkrock Big Easy Sisters, Parish of the Muddy Waters New Orleans Louisiana
Sister Onya Neeze Big Easy Sisters, Parish of the Muddy Waters New Orleans Louisiana
Sister Prim N Proper Big Easy Sisters, Parish of the Muddy Waters New Orleans Louisiana